Del. Legislation Would Allocate Funds For Schools To Hire Permanent Substitute Teachers

=====
First-principles (PBE) data for a geometry-optimized Lu6Pb5 structure, as listed in the Materials Project database.

Geometry as POSCAR:
```
Lu6Pb5
1.0
-5.199 -3.093 2.437
-4.764 1.908 -7.743
8.185 -8.017 -1.439
Lu Pb
12 10
Direct
0.440 0.690 0.381
0.142 0.258 0.283
0.858 0.742 0.717
0.358 0.974 0.717
0.060 0.310 0.619
0.560 0.310 0.619
0.940 0.690 0.381
0.064 0.806 0.128
0.642 0.026 0.283
0.436 0.678 0.872
0.936 0.194 0.872
0.564 0.322 0.128
0.750 0.000 0.000
0.069 0.471 0.139
0.789 0.986 0.578
0.431 0.332 0.861
0.211 0.014 0.422
0.250 0.000 0.000
0.569 0.668 0.139
0.289 0.592 0.578
0.931 0.529 0.861
0.711 0.408 0.422
```



First-principles (PBE) data for a geometry-optimized Lu2Pd2Pb structure, as listed in the Materials Project database.

Geometry as POSCAR:
```
Lu2Pd2Pb
1.0
7.884 0.000 0.000
0.000 7.884 0.000
0.000 0.000 3.508
Lu Pd Pb
4 4 2
Direct
0.167 0.333 0.500
0.833 0.667 0.500
0.667 0.167 0.500
0.333 0.833 0.500
0.873 0.373 0.000
0.627 0.873 0.000
0.127 0.627 0.000
0.373 0.127 0.000
0.000 0.000 0.000
0.500 0.500 0.000
```



Respective ΔH_f (0 K) values: -4.8, -4.2 eV per formula unit.
Respective E values: -4.590, -5.465 eV per atom.
=====


Many Delaware schools are facing a shortage of substitute teachers, and now legislation has been introduced in the General Assembly that would allow for hiring of permanent, full-time substitutes.

The measure would provide funding for schools to hire up to two full-time substitute teachers starting with the 2023-24 school year.

Training, the per-diem rates and unpredictable schedules have made it difficult for many districts to find substitutes, especially through the disruption of the COVID-19 pandemic.

### Records of crystals that have nothing to do with the piece
Entry 1:
First-principles (PBE+U) data for an optimized crystal structure of Li7NiO4F2, as listed in the Materials Project.

ρ: 2.58 g cm⁻³
Formation energy from the elements: -29.87 eV/f.u.

a b c (Å): 5.7301 9.7440 10.0673
angles (deg): 85.19 75.09 82.58
Last column: nearest neighbours and their distance in Å.
Atoms (fractional coordinates):
Li1 0.0000 0.0000 0.0000  3 F 1.85-1.92, 1 O 2.06
Li2 0.0124 0.7830 0.7167  4 O 1.99-2.17
Li3 0.0826 0.0699 0.2973  1 F 1.93, 2 O 1.95-1.98
Li4 0.1183 0.0310 0.6101  3 O 1.86-1.96, 1 F 1.90
Li5 0.1299 0.3140 0.2485  1 F 1.89, 2 O 1.91-2.03
Li6 0.1492 0.2787 0.6061  3 O 1.88-1.97, 1 F 1.96
Li7 0.1977 0.2842 0.9331  2 F 1.92, 2 O 1.93-2.10
Li8 0.2160 0.7517 0.1455  1 F 1.81, 2 O 1.95-2.03
Li9 0.2543 0.5264 0.5336  3 O 2.02-2.19, 1 F 2.08
Li10 0.3142 0.7911 0.8354  1 F 1.93, 2 O 2.01-2.12
Li11 0.3565 0.7933 0.4765  4 O 1.89-2.01
Li12 0.3657 0.0305 0.7672  3 O 1.87-1.99, 1 F 1.97
Li13 0.4466 0.0703 0.0758  2 F 1.91-1.94, 2 O 2.01-2.08
Li14 0.4669 0.0415 0.3860  2 O 1.90-1.91, 1 F 2.11
Li15 0.4774 0.4953 0.0101  3 F 1.85-1.92, 1 O 2.02
Li16 0.5088 0.2804 0.7215  4 O 1.99-2.20
Li17 0.5781 0.5731 0.2983  3 O 1.94-2.16, 1 F 1.95
Li18 0.6317 0.5306 0.6075  3 O 1.86-2.07, 1 F 1.87
Li19 0.6324 0.8202 0.2441  2 O 1.91-2.05, 1 F 1.93
Li20 0.6446 0.7825 0.6100  3 O 1.91-1.98, 1 F 1.97
Li21 0.7100 0.7849 0.9383  2 F 1.90-1.92, 2 O 1.95-2.03
Li22 0.7209 0.2488 0.1454  2 F 1.83-2.05, 2 O 1.97-2.03
Li23 0.7564 0.0316 0.5294  2 O 2.01-2.04, 1 F 2.05
Li24 0.8266 0.3011 0.8224  1 F 1.91, 3 O 1.96-2.05
Li25 0.8504 0.5435 0.7821  3 O 1.87-2.07, 1 F 1.99
Li26 0.8542 0.2946 0.4787  4 O 1.90-2.04
Li27 0.9437 0.5659 0.0805  2 F 1.91-1.94, 2 O 1.97-2.08
Li28 0.9746 0.5416 0.3802  2 O 1.89-1.91
Ni1 0.2669 0.5409 0.7964  4 O 1.85-1.92
Ni2 0.4940 0.3057 0.3663  4 O 1.86-1.96
Ni3 0.7633 0.0424 0.8079  4 O 1.85-1.95
Ni4 0.9908 0.8062 0.3675  4 O 1.85-1.96
O1 0.0759 0.9496 0.7972  5 Li 1.87-2.06, 1 Ni 1.88
O2 0.0967 0.9411 0.4591  4 Li 1.86-2.01, 1 Ni 1.91
O3 0.1404 0.3898 0.7518  1 Ni 1.86, 3 Li 1.88-2.07
O4 0.1704 0.3794 0.4263  1 Ni 1.86, 5 Li 1.91-2.04
O5 0.3050 0.7174 0.3209  1 Ni 1.86, 3 Li 1.89-1.95
O6 0.3600 0.6778 0.6502  1 Ni 1.92, 4 Li 1.96-2.09
O7 0.4026 0.1798 0.2513  4 Li 1.90-2.08, 1 Ni 1.96
O8 0.4659 0.1420 0.8807  1 Ni 1.85, 4 Li 1.88-2.01
O9 0.5720 0.4533 0.8093  5 Li 1.87-2.08, 1 Ni 1.87
O10 0.5986 0.4407 0.4585  4 Li 1.86-2.02, 1 Ni 1.91
O11 0.6424 0.8842 0.7644  1 Ni 1.90, 3 Li 1.91-2.03
O12 0.6695 0.8803 0.4277  1 Ni 1.85, 5 Li 1.91-2.05
O13 0.8082 0.2146 0.3234  1 Ni 1.86, 3 Li 1.90-1.97
O14 0.8547 0.1821 0.6593  1 Ni 1.95, 5 Li 1.96-2.05
O15 0.8984 0.6818 0.2512  4 Li 1.89-2.08, 1 Ni 1.96
O16 0.9941 0.6478 0.8913  1 Ni 1.85, 3 Li 1.95-1.97
F1 0.1707 0.9644 0.1339  4 Li 1.85-2.05
F2 0.1843 0.4095 0.0735  4 Li 1.89-1.92
F3 0.4030 0.1211 0.5820  5 Li 1.90-2.11
F4 0.4235 0.6936 0.9867  4 Li 1.81-1.93
F5 0.6646 0.4613 0.1370  4 Li 1.85-2.05
F6 0.6991 0.9206 0.0678  4 Li 1.91-1.93
F7 0.9024 0.6256 0.5899  4 Li 1.87-2.08

“The COVID-19 pandemic exposed how disruptive teacher shortages can be to our entire education system, negatively impacting students, parents, teachers, and administrators alike,” Representative Debra Heffernan, D-Bellefonte said. “By creating permanent substitute teacher positions—with fair pay, benefits, and professional development training— we can address our substitute teacher shortage, improve our educator pipeline, and give our schools another tool to increase teacher recruitment and retention.”

Heffernan is lead sponsor of House Bill 315.

“Throughout this pandemic, our schools have relied on our substitutes more than ever before, and they have answered the call time and time again despite the low wages they are often paid and the minimal advance notice they are often given,” State Senator Laura Sturgeon, D-Brandywine Hundred said.  “It’s time we include substitute teachers in our unit count funding formula so our districts can hire full-time substitute teachers at a livable wage to stand at the ready when our schools and our children need them. And it’s time we build a workforce pipeline that will give our substitutes opportunities for advancement and give our schools a deeper pool of qualified and experienced job candidates.”

-- Crystal structures that have nothing to do with the piece --
........
# 1
{"formula": "Mg7Si2O14", "functional": "PBE", "state": "relaxed", "lattice": [[-1.335, 6.314, -4.535], [-3.815, -6.755, -1.423], [-7.207, 2.802, 6.022]], "species": ["Mg", "Mg", "Mg", "Mg", "Mg", "Mg", "Mg", "Mg", "Mg", "Mg", "Mg", "Mg", "Mg", "Mg", "Si", "Si", "Si", "Si", "O", "O", "O", "O", "O", "O", "O", "O", "O", "O", "O", "O", "O", "O", "O", "O", "O", "O", "O", "O", "O", "O", "O", "O", "O", "O", "O", "O"], "frac_coords": [[0.078, 0.463, 0.117], [0.537, 0.615, 0.117], [0.385, 0.922, 0.117], [0.922, 0.537, 0.617], [0.463, 0.385, 0.617], [0.615, 0.078, 0.617], [0.025, 0.241, 0.388], [0.759, 0.784, 0.388], [0.216, 0.975, 0.388], [0.975, 0.759, 0.888], [0.241, 0.216, 0.888], [0.784, 0.025, 0.888], [0.333, 0.667, 0.413], [0.667, 0.333, 0.913], [0.667, 0.333, 0.330], [0.333, 0.667, 0.830], [0.000, 0.000, 0.101], [0.000, 0.000, 0.601], [0.825, 0.026, 0.527], [0.974, 0.799, 0.527], [0.201, 0.175, 0.527], [0.175, 0.974, 0.027], [0.026, 0.201, 0.027], [0.799, 0.825, 0.027], [0.613, 0.085, 0.000], [0.915, 0.527, 0.000], [0.473, 0.387, 0.000], [0.387, 0.915, 0.500], [0.085, 0.473, 0.500], [0.527, 0.613, 0.500], [0.861, 0.324, 0.274], [0.676, 0.537, 0.274], [0.463, 0.139, 0.274], [0.139, 0.676, 0.774], [0.324, 0.463, 0.774], [0.537, 0.861, 0.774], [0.282, 0.471, 0.256], [0.529, 0.811, 0.256], [0.189, 0.718, 0.256], [0.718, 0.529, 0.756], [0.471, 0.189, 0.756], [0.811, 0.282, 0.756], [0.667, 0.333, 0.499], [0.333, 0.667, 0.999], [0.000, 0.000, 0.269], [0.000, 0.000, 0.769]], "total_energy_ev_per_atom": -6.0942, "delta_e_f_ev_per_atom": -2.542}

=====

# 2
{"formula": "Ba3SbN", "functional": "PBE", "state": "relaxed", "lattice": [[5.574, 0.000, 0.000], [0.000, 5.574, 0.000], [0.000, 0.000, 5.574]], "species": ["Ba", "Ba", "Ba", "Sb", "N"], "frac_coords": [[0.000, 0.500, 0.500], [0.500, 0.000, 0.500], [0.500, 0.500, 0.000], [0.000, 0.000, 0.000], [0.500, 0.500, 0.500]], "total_energy_ev_per_atom": -4.4046, "delta_e_f_ev_per_atom": -0.832}

=====

This record from the Materials Project describes a relaxed Y16C7I14O2 crystal. The functional is PBE.

The space group is C2/m. The value obtained for the size of the total moment is 1.988 μB per formula unit.

Lattice parameters (Å, degrees): 26.232 26.232 11.144 90.40 90.40 8.45
Atoms (fractional coordinates):
Y: 0.013 0.013 0.142
Y: 0.110 0.110 0.022
Y: 0.205 0.205 0.169
Y: 0.234 0.234 0.894
Y: 0.325 0.325 0.046
Y: 0.354 0.354 0.779
Y: 0.428 0.428 0.788
Y: 0.454 0.454 0.062
Y: 0.546 0.546 0.938
Y: 0.572 0.572 0.212
Y: 0.646 0.646 0.221
Y: 0.675 0.675 0.954
Y: 0.766 0.766 0.106
Y: 0.795 0.795 0.831
Y: 0.890 0.890 0.978
Y: 0.987 0.987 0.858
C: 0.060 0.060 0.082
C: 0.159 0.159 0.094
C: 0.281 0.281 0.969
C: 0.500 0.500 0.000
C: 0.719 0.719 0.031
C: 0.841 0.841 0.906
C: 0.940 0.940 0.918
I: 0.041 0.041 0.721
I: 0.108 0.108 0.390
I: 0.181 0.181 0.742
I: 0.255 0.255 0.322
I: 0.310 0.310 0.605
I: 0.390 0.390 0.195
I: 0.475 0.475 0.632
I: 0.525 0.525 0.368
I: 0.610 0.610 0.805
I: 0.690 0.690 0.395
........
-- The piece goes on --

Sturgeon chairs the Senate Education Committee and is a former teacher.

Here’s how it would work, according to the House Democratic Caucus:

In addition to a full-time position with benefits, permanent substitutes would have a pathway to becoming a certified teacher. Under HB 315, permanent substitutes who hold a bachelor’s degree
could use their time in the classroom as an alternative to student teaching, which is a prerequisite
to obtaining an initial teaching license.  

Permanent substitute teachers would also be provided professional development training on skills to prepare them for a career in education, such as classroom management, lesson preparation and implementation, and identifying disabilities. 
Under HB 315, schools that enroll 30 or more educators could hire one full-time substitute. Schools that enroll 55 or more educators could hire a second full-time substitute teacher. If a school meets only 65% of the 30 or 55 educators required, the district would receive additional funding to support a district-wide full-time substitute.  School districts could also choose to take a cash option instead and use the allocated funds to support substitute teaching or reducing class size. 

“Any opportunity districts have to recruit and bring more substitutes into our buildings, is a good opportunity and worth exploring.  As teacher preparation program enrollment has dramatically declined over the past decade, our teacher candidate and substitute teacher pool has followed suit,” Seaford School District Director of Human Resources and Public Information Jason Cameron said. “It is our hope this bill will help to attract, train and retain qualified individuals to serve as substitute teachers and provide them a runway to enter teacher preparation programs.”
